Read Along (Just not over my shoulder, please!)

Welcome to my RA page.  In librarianship, RA stands for Reader's Advisory.  It is a practice that many librarians must competently perform on a regular basis for their patrons who want to know what they should read next.  It is also a practice that librarians-in-training must perform for friends and family members who for some crazy reason think that this is some sort of magical ability. 

Instead of tailoring reading suggestions to anyone in particular, I am going to try and keep up with sharing my list of current "just reads."  As much as I would like to go back and outline my all-time favorites, that is just not in the cards right now. 

So let's start!

Envious Casca, by Georgette Heyer.

I completed this book on August 31, 2011.  It came to me out of a random blog-surfing adventure as part of another bloggers list of recent reads/suggestions as a good old-fashioned British mystery whodunit.  As I am a huge fan of this genre who had never heard of Georgette Heyer, I was thrilled to find that not only did she have an extensive catalog, but that her books are still in print and available at my local Barnes and Noble.  My link above is to, but I am by no means advocating one vendor over another. 

There is nothing out of the ordinary about this book, but it was enjoyable and a nice break after several long and mind-numbing days of work.  So if you're a fan of Agatha Christie and Dorothy Sayers but are bummed that you've read their entire collections, give this a go.

Verdict:  Good.  Not fabulous, but good.

The Distant Hours, by Kate Morton.

This one was a bit longer and more involved than the last book I read, but that's OK.  Especially when one is attempting to read the whole thing over Labor Day weekend.  It has been a while since I last read a book that kept me engaged to the point that I kept picking it up to get just a little bit farther along.

I have definite plans to read more of Kate Morton's books, but for now I have to content myself with reading the other books I picked up in my last Barnes and Noble shopping spree.  Oh, and to start in on some of those required school-related readings as well...

Verdict:  Engaging.  Definitely one to take your mind off of other things going on in the world.

The Forgotten Garden, by Kate Morton.

Were you hoping that I would continue to hyperlink the titles to Amazon for you?  Ha!  Too bad. 

I picked up this book because I enjoyed reading another work by this author (listed above).  If I have to be honest (and really, why not), I did not enjoy this one as much as the first one I reviewed.  Yes, it did have the same gradually unwinding mystery working throughout the plot moving through various timelines and points of view. 

But in this book, I pretty much figured out the "mystery" after the first four chapters.  The only surprise left came at the very end, and it was not totally unexpected but just a tiny bit disappointing.  Definitely not the book to read if you're looking for big ol' happy endings, but I suspect that none of Kate Morton's novels will give me this. 

Even though there is still another novel in Kate Morton's booklist, I think I may wait on that one for the moment and move on to a different author.  Honestly, my metadata workbook has taken all the concentration I have at the moment, but I am hoping to work some fiction back into my schedule very soon.  Real soon.

Verdict:  Well written, but drags a bit.  Not too many surprises, and I found the characters just a bit less relatable than I was expecting and perhaps a bit overdramatic. 

Calculated crystals, as found in the file =
<<<
(1)
# Nd3SnO2

An optimized crystal structure of Nd3SnO2 (PBE, Alexandria).

## Properties
- Formation energy without anion corrections: -2.134 eV/atom
- Total moment: 0.00 μB/f.u.
- N(E_F): 5.001 states/eV per cell

Cell lengths 4.734, 4.734, 11.991 Å; angles 90.00, 90.00, 90.00 degrees
Atoms (fractional coordinates):
Nd1 0.000 0.000 0.000
Nd2 0.000 0.500 0.250
Nd3 0.000 0.500 0.750
Nd4 0.500 0.000 0.250
Nd5 0.500 0.000 0.750
Nd6 0.500 0.500 0.500
Sn1 0.000 0.000 0.500
Sn2 0.500 0.500 0.000
O1 0.000 0.000 0.200
O2 0.000 0.000 0.800
O3 0.500 0.500 0.300
O4 0.500 0.500 0.700

=====

(2)
# ZrNi2Ag

An optimized crystal structure of ZrNi2Ag (PBE, Alexandria).

## Properties
- E_form: -112 meV per atom
- Total moment: 0.00 μB/f.u.
- N(E_F): 5.765 states/eV per cell

Cell lengths 6.034, 6.044, 3.336 Å; angles 90.00, 90.00, 90.00 degrees
Atoms (fractional coordinates):
Zr1 0.000 0.000 0.000
Zr2 0.500 0.500 0.000
Ni1 0.250 0.250 0.500
Ni2 0.250 0.750 0.500
Ni3 0.750 0.250 0.500
Ni4 0.750 0.750 0.500
Ag1 0.000 0.500 0.000
Ag2 0.500 0.000 0.000

=====

(3)
# CaNiSn2Hg

An optimized crystal structure of CaNiSn2Hg (PBE, Alexandria).

## Properties
- E_form: -178 meV per atom
- Total moment: 0.00 μB/f.u.
- N(E_F): 2.780 states/eV per cell

Cell lengths 5.000, 5.000, 5.081 Å; angles 90.00, 90.00, 90.00 degrees
Atoms (fractional coordinates):
Ca1 0.000 0.000 0.000
Ni1 0.500 0.500 0.500
Sn1 0.000 0.500 0.500
Sn2 0.500 0.000 0.500
Hg1 0.500 0.500 0.000

=====

(4)
# In3Hg2Te

An optimized crystal structure of In3Hg2Te (PBE, Alexandria).

## Properties
- Formation energy without anion corrections: -0.020 eV/atom
- Total moment: 0.00 μB/f.u.
- N(E_F): 4.780 states/eV per cell

Cell lengths 6.342, 15.144, 4.141 Å; angles 90.00, 90.00, 90.00 degrees
Atoms (fractional coordinates):
In1 0.000 0.000 0.000
In2 0.000 0.350 0.500
In3 0.000 0.650 0.500
In4 0.500 0.150 0.500
In5 0.500 0.500 0.000
In6 0.500 0.850 0.500
Hg1 0.000 0.151 0.500
Hg2 0.000 0.849 0.500
Hg3 0.500 0.349 0.500
Hg4 0.500 0.651 0.500
Te1 0.000 0.500 0.000
Te2 0.500 0.000 0.000
>>>

Margot 47574: The Story of an Auschwitz Survivor, as told by Sharma L. Wolff and Carol L. Miller.

This book came at the recommendation of a coworker who happens to be personally acquainted with Margot, the person at the center of the work.  It is not a lengthy read, but it was well paced.  Chapters of narrative format were interspersed with photographs, interview transcripts and excerpts of letters from people who have heard Margot speak in public about her experience.

By all accounts, both in the book and from my coworker, Margot is an amazing human being.  Stories of the Holocaust are always daunting and usually leave me with a sense of shame with regards to the things I value and take for granted.  The fact that Margot remains a positive believer in human goodness is astonishing to me after all that she has suffered at the hands of fellow human beings. 

Anyway, this is a somewhat difficult book to find as it was published locally, but if you ever come across it, I highly encourage you to read it. 

Midnight in the Garden of Good and Evil by John Berendt.

This is not a new book, and it came to me in an unconventional fashion.  My brother and his girlfriend went down to Georgia this summer for a wedding.  They came back with gifts for all, and because they made a visit to Savannah, they bought me this book.

You see, it takes place in Savannah and is semi-non-fiction.  I believe the author added some little dramatic embellishments here and there, but what good writer can really avoid it?

It is a good book and a fast read.  Truthfully, I enjoyed the first part of the book wherein the author meets various colorful locals and learns more about the culture of the city.  When the "action" starts in the last part of the book (the murder and trial), I actually started to lose interest. 

Now, if you have only seen the 1997 movie version of this book starring John Cusack and Kevin Spacey, you may find the book to be a bit different.  You see, the book focuses mostly on the murder/trial section and really spends no time in the beginning introducing most of the interesting characters you find in the book.  Plus, Jude Law plays the sexy murder victim, and I just do not buy a British dude as a bisexual Southern sassy lad.  No.

But either way, read the book.  That is my verdict.

The Book of Lost Things, by John Connolly.

I picked this book up at Barnes and Noble one day off of the "Buy Two Get One Free" table.  I do not wish to admit how often I do this, but it has definitely introduced me to some books and authors that I would not otherwise have found.

This may sound very unlike me as I tend to be overly critical, but I really really liked this book.  It is not really a mystery, but it definitely carries elements of suspense.  It is a story about a child and contains many allusions to fairy tales, but it is quite dark and I am not sure how many children would handle some of it.  Then again, who am I to say?  I was always the kind of kid who read whatever I wanted, including on occasion, my grandmother's Harlequin Romances.  Heavy stuff for a 10 year-old, I tell you.

Back to this book.  It runs a blurry line between reality and fantasy and leaves some questions unanswered, but deliberately.  At least I think it was intentional.  This writer has the gift of descriptive imagery that is so unobtrusive that you do not get mired down in the flowery words but are able to create vivid mental images of your own. 

Verdict:  I highly recommend this book and I fully intend to pick up more books by this author. 

The Big Over Easy, by Jasper Fforde.

This is not the first book that I have read by this author, and it is a bit hard to explain his genre.  I guess I would call it fictional literary fantasy.  He creates alternate realities where fictional characters from well-known books, stories or in this case nursery rhyme characters.

In this story, the detectives of the Nursery Crimes Division are trying to solve the murder of Humpty Dumpty.  Sound silly?  Dumb?  You're wrong.  It is actually a very engaging and entertaining story.

In comparison to his Thursday Next series, this was maybe not quite as much fun, but if you're looking for a fun and quick mini-mystery, check this out.

Anno Dracula, by Kim Newman.

So sometimes I go on buying sprees and pick up extra books based on bookstore recommendations and even the "buy two get one free" offers.  This book was one of the extra books on display that I picked up to get my free book.

It just so happened that this book was left under a pile of other papers several months ago only to be found last week... by me (of course).

So now I am done with it, and I can say that it was... OK.  I should warn you, it is a vampire novel, but slightly less cheesy than the "Twilight" series.  If forced to choose, I would definitely put this near the top of my vampire list, but then again, it is a short list to begin with, so I am not sure what that really says.

I was surprised to learn that this book was published in 1992, even though this printing was from 2011. I believe that the author has written several other novels in this line since that time, but I have not yet decided whether or not I will read them.

If I had to offer up any good points to the book it is that the author likes to use the names of well known historical and fictional characters from vampire/mystery stories.

Would I recommend it?  Meh.  Sure.  But be warned, it is a little scary.  And intense.  Keep the kiddies away - the violence and slightly sexual content could be traumatizing.